Written on Dec 14, 2016
Cassius, on the other hand, is going through with his plans of starting a war between the Ceresians and the Tribunals. Kalliope was the first shot in the war, with both sides blaming each other. While he is meeting with Zaimur Morastus, the head of the Morastus clan, he is contacted by Sage via a telecom device that he had put into her prosthetic arm. Cassius is Sage’s ticket to getting onto the Tribune vessel that is holding Elisha.
After they meet up with Cassius and discuss their plans to rescue Elisha. At that time, Talon and Tarsis are also introduced to ADIM….which causes quite the commotion. After the initial shock of meeting ADIM, a plan is launched to rescue Elisha. It involves ADIM taking over 500 androids to assist them when they rescue Elisha.
The rest of the book is fantastic. I think I devoured the pages of the battle to get Elisha and shed a tear when Tarsis gave his life so Talon, Elisha and Sage could escape. Cassius got his revenge on the Tribunal but his deceit was discovered by Talon and Sage. The war between the Ceresians and the Tribunals escalate. While those two factions are fighting, Cassius slips away to do something that will have consequences beyond the war.
I loved Sage in this book. She become 100% human, instead of a tool of the Tribunal. Her relationship with Talon was complicated but it was her relationship with Cassius that was even more complicated than her one with Talon. She looked at Cassius as a father that she never had and he viewed her as a daughter and he just wanted to better her world….in his own way.
[Between two parts of the piece: materials data]
........
Material: MgAu2F8
Method: DFT, PBE-GGA
State: relaxed

Summary:
**V**: 339.6 Å³ per cell
**Crystal system**: monoclinic
**Energy**: -3.826 eV/atom
**Calculated formation energy**: -2.0289 eV/atom

Structure (POSCAR):
```
MgAu2F8
1.0
5.8252 0.0000 0.0000
0.0000 5.6073 0.0000
0.0000 3.6941 10.3968
Au F Mg
4 16 2
direct
0.7238 0.8709 0.6716
0.7762 0.8709 0.1716
0.2238 0.1291 0.8284
0.2762 0.1291 0.3284
0.8179 0.1747 0.5284
0.1251 0.4255 0.6821
0.3179 0.8253 0.9716
0.7699 0.6630 0.0561
0.6821 0.1747 0.0284
0.2861 0.9265 0.2165
0.3749 0.4255 0.1821
0.8749 0.5745 0.3179
0.2699 0.3370 0.4439
0.2301 0.3370 0.9439
0.7301 0.6630 0.5561
0.7139 0.0735 0.7835
0.2139 0.9265 0.7165
0.6251 0.5745 0.8179
0.7861 0.0735 0.2835
0.1821 0.8253 0.4716
0.0000 0.5000 0.5000
0.5000 0.5000 0.0000
```

~~~~~

1.
VASP calculation (PBE) on a geometry-optimized NaSnPHO4F structure.

abc: 4.971 5.319 19.364
angles: 90.00 90.00 90.00
Fractional coordinates of all 36 atoms:
Na 0.247 0.250 0.009
Na 0.253 0.750 0.509
Na 0.747 0.250 0.491
Na 0.753 0.750 0.991
Sn 0.205 0.750 0.138
Sn 0.295 0.250 0.638
Sn 0.705 0.750 0.362
Sn 0.795 0.250 0.862
P 0.224 0.750 0.873
P 0.276 0.250 0.373
P 0.724 0.750 0.627
P 0.776 0.250 0.127
H 0.205 0.250 0.261
H 0.295 0.750 0.761
H 0.705 0.250 0.239
H 0.795 0.750 0.739
O 0.029 0.750 0.623
O 0.092 0.513 0.905
O 0.092 0.987 0.905
O 0.135 0.750 0.791
O 0.365 0.250 0.291
O 0.408 0.013 0.405
O 0.408 0.487 0.405
O 0.471 0.250 0.123
O 0.529 0.750 0.877
O 0.592 0.513 0.595
O 0.592 0.987 0.595
O 0.635 0.750 0.709
O 0.865 0.250 0.209
O 0.908 0.013 0.095
O 0.908 0.487 0.095
O 0.971 0.250 0.377
F 0.170 0.250 0.536
F 0.330 0.750 0.036
F 0.670 0.250 0.964
F 0.830 0.750 0.464

Properties
**Energy relative to the lowest polymorph listed for this composition**: 0.00 eV per formula unit
**Space-group type**: Pnma
**Calculated volume**: 512 Å³/cell
**Crystal system**: orthorhombic
**Magnetic moment**: 0.000 μB per formula unit

2.
VASP calculation (PBE) on a geometry-optimized NaSnPHO4F structure.

abc: 4.870 5.325 19.139
angles: 90.00 90.00 90.00
Fractional coordinates of all 36 atoms:
Na 0.230 0.250 0.009
Na 0.270 0.750 0.509
Na 0.730 0.250 0.491
Na 0.770 0.750 0.991
Sn 0.227 0.750 0.138
Sn 0.273 0.250 0.638
Sn 0.727 0.750 0.362
Sn 0.773 0.250 0.862
P 0.207 0.750 0.872
P 0.293 0.250 0.372
P 0.707 0.750 0.628
P 0.793 0.250 0.128
H 0.078 0.250 0.221
H 0.422 0.750 0.721
H 0.578 0.250 0.279
H 0.922 0.750 0.779
O 0.018 0.750 0.625
O 0.078 0.513 0.906
O 0.078 0.987 0.906
O 0.121 0.750 0.790
O 0.379 0.250 0.290
O 0.422 0.013 0.406
O 0.422 0.487 0.406
O 0.482 0.250 0.125
O 0.518 0.750 0.875
O 0.578 0.513 0.594
O 0.578 0.987 0.594
O 0.621 0.750 0.710
O 0.879 0.250 0.210
O 0.922 0.013 0.094
O 0.922 0.487 0.094
O 0.982 0.250 0.375
F 0.151 0.250 0.535
F 0.349 0.750 0.035
F 0.651 0.250 0.965
F 0.849 0.750 0.465

Properties
**Energy relative to the lowest polymorph listed for this composition**: 0.08 eV per formula unit
**Space-group type**: Pnma
**Calculated volume**: 496 Å³/cell
........
Talon really came alive in this book. Even though he had a death sentence, he still fought against the Tribunals with everything that he had. The love for his daughter eclipsed everything in this book. I will admit that I wasn’t happy with certain events in the book. I actually got very mad and yelled at my Kindle.
Cassius remained in my top 3 favorite characters. Even though he started a war and did some very bad things, he wasn’t a bad guy. He was a father, grieving for his child and wanting to get revenge for what his death. He also wanted to bring down The Tribunal. So, his actions, at least to me, did make sense. As did him building an android that eventually could think for itself and that he considered his child (well it was his child…kwim).
Attached: calculated crystals
********
Here is crystalline K2DyCl5 at its relaxed geometry from the Materials Project database. Energies are from r²SCAN.

Properties
* formation energy from the elements: -2.420 eV per atom
* SG: Pnma

Unit cell a=12.6654 b=8.5447 c=7.9167 alpha=90.00 beta=90.00 gamma=90.00
Closest atoms and distances in Å follow each position.
Fractional coordinates of all 32 atoms:
1 K 0.1715 0.0054 0.0567  8 Cl 3.13-3.37
2 K 0.1715 0.4946 0.0567  8 Cl 3.13-3.37
3 K 0.3285 0.5054 0.5567  8 Cl 3.13-3.37
4 K 0.3285 0.9946 0.5567  8 Cl 3.13-3.37
5 K 0.6715 0.0054 0.4433  8 Cl 3.13-3.37
6 K 0.6715 0.4946 0.4433  8 Cl 3.13-3.37
7 K 0.8285 0.5054 0.9433  8 Cl 3.13-3.37
8 K 0.8285 0.9946 0.9433  8 Cl 3.13-3.37
9 Dy 0.0049 0.2500 0.5752  7 Cl 2.67-2.77
10 Dy 0.4951 0.7500 0.0752  7 Cl 2.67-2.77
11 Dy 0.5049 0.2500 0.9248  7 Cl 2.67-2.77
12 Dy 0.9951 0.7500 0.4248  7 Cl 2.67-2.77
13 Cl 0.0099 0.2500 0.9168  1 Dy 2.71
14 Cl 0.0726 0.5436 0.6649  2 Dy 2.74-2.77
15 Cl 0.0726 0.9564 0.6649  2 Dy 2.74-2.77
16 Cl 0.1773 0.2500 0.3817  1 Dy 2.67
17 Cl 0.1997 0.7500 0.3434  1 Dy 2.67
18 Cl 0.3003 0.2500 0.8434  1 Dy 2.67
19 Cl 0.3227 0.7500 0.8817  1 Dy 2.67
20 Cl 0.4274 0.0436 0.1649  2 Dy 2.74-2.77
21 Cl 0.4274 0.4564 0.1649  2 Dy 2.74-2.77
22 Cl 0.4901 0.7500 0.4168  1 Dy 2.71
23 Cl 0.5099 0.2500 0.5832  1 Dy 2.71
24 Cl 0.5726 0.5436 0.8351  2 Dy 2.74-2.77
25 Cl 0.5726 0.9564 0.8351  2 Dy 2.74-2.77
26 Cl 0.6773 0.2500 0.1183  1 Dy 2.67
27 Cl 0.6997 0.7500 0.1566  1 Dy 2.67
28 Cl 0.8003 0.2500 0.6566  1 Dy 2.67
29 Cl 0.8227 0.7500 0.6183  1 Dy 2.67
30 Cl 0.9274 0.0436 0.3351  2 Dy 2.74-2.77
31 Cl 0.9274 0.4564 0.3351  2 Dy 2.74-2.77
32 Cl 0.9901 0.7500 0.0832  1 Dy 2.71

Here is crystalline Ce3Sn7 at its relaxed geometry from the Materials Project database. Energies are from r²SCAN.

Properties
* formation energy from the elements: -0.627 eV per atom
* SG: P2/m

Unit cell a=4.5774 b=4.6416 c=13.1824 alpha=90.00 beta=100.06 gamma=90.00
Closest atoms and distances in Å follow each position.
Fractional coordinates of all 10 atoms:
1 Ce 0.0000 0.0000 0.0000  12 Sn 3.26-3.37
2 Ce 0.1839 0.0000 0.3662  10 Sn 3.27-3.58
3 Ce 0.8161 0.0000 0.6338  10 Sn 3.27-3.58
4 Sn 0.0940 0.5000 0.1887  6 Sn 3.26-3.35, 4 Ce 3.27-3.37
5 Sn 0.2878 0.5000 0.5763  2 Sn 3.02-3.03, 4 Ce 3.34-3.35
6 Sn 0.4063 0.0000 0.8133  6 Sn 3.26-3.36, 4 Ce 3.27-3.33
7 Sn 0.5000 0.5000 0.0000  4 Ce 3.26, 8 Sn 3.35-3.36
8 Sn 0.5937 0.0000 0.1867  6 Sn 3.26-3.36, 4 Ce 3.27-3.33
9 Sn 0.7122 0.5000 0.4237  2 Sn 3.02-3.03, 4 Ce 3.34-3.35
10 Sn 0.9060 0.5000 0.8113  6 Sn 3.26-3.35, 4 Ce 3.27-3.37

Here is crystalline V4P3 at its relaxed geometry from the Materials Project database. Energies are from r²SCAN.

Properties
* formation energy from the elements: -0.901 eV per atom
* SG: Cmcm

Unit cell a=6.8155 b=6.8155 c=17.0626 alpha=90.00 beta=90.00 gamma=152.43
Closest atoms and distances in Å follow each position.
Fractional coordinates of all 28 atoms:
1 V 0.0000 0.0000 0.0000  4 P 2.38-2.45, 4 V 2.63
********
The ending of the book was bittersweet. Just leaving it at that. I do hope that there will be more books written in this universe.
The whole series is definitely worth reading. If you do decide to read the series, my suggestion would to read it one after another, with no pauses for other books. The author intended for the book to be on continuous story but separated it into 3 books because he didn’t want to chance that the book would be too long.
**I received a free copy of this book and volunteered to review it**